### Data
- - -
[1]
The following is a DFT calculation (PBE) of crystalline NbTcMo14 at its relaxed geometry.

## Properties
SG = Cmmm (65)
Formation energy from the elements = -0.02 eV/atom

Lattice parameters (Å, degrees): 5.481 5.481 8.979 90.00 90.00 109.48
Sites, in units of the cell vectors:
Nb1 0.000 0.000 0.000
Tc1 0.500 0.500 0.000
Mo1 0.000 0.000 0.500
Mo2 0.000 0.500 0.000
Mo3 0.000 0.500 0.500
Mo4 0.251 0.251 0.252
Mo5 0.251 0.251 0.748
Mo6 0.251 0.749 0.250
Mo7 0.251 0.749 0.750
Mo8 0.500 0.000 0.000
Mo9 0.500 0.000 0.500
Mo10 0.500 0.500 0.500
Mo11 0.749 0.251 0.250
Mo12 0.749 0.251 0.750
Mo13 0.749 0.749 0.252
Mo14 0.749 0.749 0.748

---

[2]
The following is a DFT calculation (PBE) of crystalline Ca2LaReHg at its relaxed geometry.

## Properties
Energy above the lowest structure with this stoichiometry = 0.000 eV/atom
SG = P4/mmm (123)
Formation energy from the elements = 0.66 eV/atom

Lattice parameters (Å, degrees): 5.386 5.386 5.444 90.00 90.00 90.00
Sites, in units of the cell vectors:
Ca1 0.000 0.500 0.000
Ca2 0.500 0.000 0.000
La1 0.000 0.000 0.500
Re1 0.500 0.500 0.000
Hg1 0.500 0.500 0.500

---

[3]
The following is a DFT calculation (PBE) of crystalline NdSm7In4 at its relaxed geometry.

## Properties
SG = C2/m (12)
Formation energy from the elements = -0.13 eV/atom

Lattice parameters (Å, degrees): 7.883 7.883 10.715 121.00 121.00 43.03
Sites, in units of the cell vectors:
Nd1 0.000 0.000 0.000
Sm1 0.063 0.063 0.394
Sm2 0.207 0.207 0.878
Sm3 0.283 0.283 0.344
Sm4 0.500 0.500 0.000
Sm5 0.717 0.717 0.656
Sm6 0.793 0.793 0.122
Sm7 0.937 0.937 0.606
In1 0.318 0.318 0.667
In2 0.441 0.441 0.244
In3 0.559 0.559 0.756
In4 0.682 0.682 0.333

---

[4]
The following is a DFT calculation (PBE) of crystalline Sm2SnO2 at its relaxed geometry.

## Properties
Energy relative to the elements, uncorrected = -240.8 kJ per mole of atoms
SG = I4/mmm (139)

Lattice parameters (Å, degrees): 7.681 7.681 7.681 150.45 150.45 42.28
Sites, in units of the cell vectors:
Sm1 0.168 0.168 0.000
Sm2 0.832 0.832 0.000
Sn1 0.500 0.500 0.000
O1 0.250 0.750 0.500
O2 0.750 0.250 0.500

---

[5]
The following is a DFT calculation (PBE) of crystalline Ba2CuP2 at its relaxed geometry.

## Properties
Energy above the lowest structure with this stoichiometry = 0.000 eV/atom
SG = C2/m (12)
Formation energy from the elements = -0.80 eV/atom

Lattice parameters (Å, degrees): 6.228 6.228 11.093 106.52 106.52 40.28
Sites, in units of the cell vectors:
Ba1 0.090 0.090 0.407
Ba2 0.298 0.298 0.855
Ba3 0.702 0.702 0.145
Ba4 0.910 0.910 0.593
Cu1 0.430 0.430 0.171
Cu2 0.570 0.570 0.829
P1 0.036 0.036 0.914
P2 0.357 0.357 0.347
P3 0.643 0.643 0.653
P4 0.964 0.964 0.086

---

[6]
The following is a DFT calculation (PBE) of crystalline Sc2Ti2Al3 at its relaxed geometry.

## Properties
SG = Cmmm (65)
Formation energy from the elements = -0.30 eV/atom

Lattice parameters (Å, degrees): 10.261 10.261 2.866 90.00 90.00 155.26
Sites, in units of the cell vectors:
Sc1 0.075 0.925 0.000
Sc2 0.925 0.075 0.000
Ti1 0.216 0.784 0.000
Ti2 0.784 0.216 0.000
Al1 0.343 0.657 0.500
Al2 0.500 0.500 0.500
Al3 0.657 0.343 0.500

---

[7]
The following is a DFT calculation (PBE) of crystalline PmDy4Th at its relaxed geometry.

## Properties
Energy above the lowest structure with this stoichiometry = 0.000 eV/atom
SG = P-1 (2)
Formation energy from the elements = 0.02 eV/atom

Lattice parameters (Å, degrees): 3.564 6.163 9.452 96.13 100.86 106.60
Sites, in units of the cell vectors:
Pm1 0.000 0.000 0.000
Dy1 0.162 0.497 0.828
Dy2 0.327 0.994 0.661
Dy3 0.673 0.006 0.339
Dy4 0.838 0.503 0.172
Th1 0.500 0.500 0.500

---

[8]
The following is a DFT calculation (PBE) of crystalline Cd3P at its relaxed geometry.

## Properties
Energy above the lowest structure with this stoichiometry = 0.151 eV/atom
SG = P6_3/mmc (194)
Formation energy from the elements = 0.24 eV/atom

Lattice parameters (Å, degrees): 6.029 6.029 5.399 90.00 90.00 120.00
Sites, in units of the cell vectors:
Cd1 0.169 0.338 0.250
- - -

### Wanted
Retype the block further above from the first line to the one with "6.228 6.228" verbatim.

### Reply
[1]
The following is a DFT calculation (PBE) of crystalline NbTcMo14 at its relaxed geometry.

## Properties
SG = Cmmm (65)
Formation energy from the elements = -0.02 eV/atom

Lattice parameters (Å, degrees): 5.481 5.481 8.979 90.00 90.00 109.48
Sites, in units of the cell vectors:
Nb1 0.000 0.000 0.000
Tc1 0.500 0.500 0.000
Mo1 0.000 0.000 0.500
Mo2 0.000 0.500 0.000
Mo3 0.000 0.500 0.500
Mo4 0.251 0.251 0.252
Mo5 0.251 0.251 0.748
Mo6 0.251 0.749 0.250
Mo7 0.251 0.749 0.750
Mo8 0.500 0.000 0.000
Mo9 0.500 0.000 0.500
Mo10 0.500 0.500 0.500
Mo11 0.749 0.251 0.250
Mo12 0.749 0.251 0.750
Mo13 0.749 0.749 0.252
Mo14 0.749 0.749 0.748

---

[2]
The following is a DFT calculation (PBE) of crystalline Ca2LaReHg at its relaxed geometry.

## Properties
Energy above the lowest structure with this stoichiometry = 0.000 eV/atom
SG = P4/mmm (123)
Formation energy from the elements = 0.66 eV/atom

Lattice parameters (Å, degrees): 5.386 5.386 5.444 90.00 90.00 90.00
Sites, in units of the cell vectors:
Ca1 0.000 0.500 0.000
Ca2 0.500 0.000 0.000
La1 0.000 0.000 0.500
Re1 0.500 0.500 0.000
Hg1 0.500 0.500 0.500

---

[3]
The following is a DFT calculation (PBE) of crystalline NdSm7In4 at its relaxed geometry.

## Properties
SG = C2/m (12)
Formation energy from the elements = -0.13 eV/atom

Lattice parameters (Å, degrees): 7.883 7.883 10.715 121.00 121.00 43.03
Sites, in units of the cell vectors:
Nd1 0.000 0.000 0.000
Sm1 0.063 0.063 0.394
Sm2 0.207 0.207 0.878
Sm3 0.283 0.283 0.344
Sm4 0.500 0.500 0.000
Sm5 0.717 0.717 0.656
Sm6 0.793 0.793 0.122
Sm7 0.937 0.937 0.606
In1 0.318 0.318 0.667
In2 0.441 0.441 0.244
In3 0.559 0.559 0.756
In4 0.682 0.682 0.333

---

[4]
The following is a DFT calculation (PBE) of crystalline Sm2SnO2 at its relaxed geometry.

## Properties
Energy relative to the elements, uncorrected = -240.8 kJ per mole of atoms
SG = I4/mmm (139)

Lattice parameters (Å, degrees): 7.681 7.681 7.681 150.45 150.45 42.28
Sites, in units of the cell vectors:
Sm1 0.168 0.168 0.000
Sm2 0.832 0.832 0.000
Sn1 0.500 0.500 0.000
O1 0.250 0.750 0.500
O2 0.750 0.250 0.500

---

[5]
The following is a DFT calculation (PBE) of crystalline Ba2CuP2 at its relaxed geometry.

## Properties
Energy above the lowest structure with this stoichiometry = 0.000 eV/atom
SG = C2/m (12)
Formation energy from the elements = -0.80 eV/atom

Lattice parameters (Å, degrees): 6.228 6.228 11.093 106.52 106.52 40.28